Safety in Namibia
Crime in Namibia
Because criminal activity is high, you are strongly advised for your own safety to be diligent in your monitoring of developments while in Namibia. Pick pocketing is typical of the prevalent petty crime. Although rare, violent crime against foreigners does occur. Your personal valuables should not be left in a car, nonetheless keep your windows up and doors locked at all times. At night security risks rise, so walking alone is not advised. At ATM's extra vigilance is required as criminals may attempt to distract or deceive as they seek to separate you from your money. There have been reports of credit card skimming or copying so be vigilant when using them. Never let it leave your sight and monitor statements carefully for fraudulent transactions.
Reports have surfaced of taxi drivers robbing foreigners. Taxis displaying the Namibia Bus and Taxi Association logo or organized through a reputable hotel are recommended.
HIV/AIDS has a very high incidence thus victims of violent crime particularly rape as advised to seek immediate medical attention.
Local Travel
Unfamiliarity with local conditions and high rates of speed often cause incidents of foreigners being involved in single vehicle accidents. Nambia's gravel roads require extra care. Poor local driving habits, lack of street lighting, poorly maintained vehicles, livestock or wild animals straying onto the road are the various traffic hazards. Dirt and gravel are the norm for rural roads while those in urban areas are generally in good condition. Adequate supplies of emergency provisions, water and fuel are required when traveling in desert areas while always being aware of local conditions.
Unexploded land mines and munitions remain in certain regions such as Kavango and Caprivi and all areas bordering Angola. Be certain to stay only on well traveled routes.
Maintain a safe and legal distance in keeping with wildlife laws including when observing bird and marine animals. Adhere closely to all park regulations and wardens advice and use only professional and reputable guides.
Civil Unrest/Political Tension
Demonstrations and large public gatherings can become violent so you are well advised to avoid them. Details regarding possible safety and security can be obtained as you monitor local media sources.
Safety tips when in Namibia
It's important in most countries to remain safe, and this is the case too in Namibia. While not as dangerous as some countries on the African continent, it can still present some dangerous areas and things to look out for. Here are some tips for you when you are in Namibia:
- Theft isn't really a big issue in Namibia but you should never leave items unattended in vehicles when parking them. Always make sure your doors are locked and even if you think something is safe in your car, take it with you to be certain it will be.
- Don't walk alone at night in cities such as Windhoek if possible, and always keep valuables on you safe and secure.
These molecular data were left in the text by mistake =
=====
Record 1
Entry from the Open Molecules 2025 dataset: a cluster of 5 separate species, C28H50N7O2P in total at a distorted geometry (ωB97M-V/def2-TZVPD).

largest force on an atom = 6.8 eV/Å
2S+1 = 1
total energy = -53655.8794 eV
net charge = 0
SMILES = CC(C)C[C@@H](C)CO[C@@](N)(C#N)[C@@H](C#N)P(C)O.CCCC#N.CCCC#N.CCCC#N.CCCC#N
Kohn-Sham gap = 9.30 eV

Last column: Löwdin charge in e.
Geometry (Å):
C 3.679565 5.778242 8.159699  -0.27
C 1.541664 0.687280 4.309649  -0.19
H -2.356769 -6.241120 -0.171771  0.09
O 0.918567 -4.396429 -2.686178  -0.35
H 4.477445 3.853879 -6.163412  0.07
C 1.401815 2.471717 -5.264622  -0.19
H 0.739971 -1.334365 -4.183829  0.04
H -3.927125 -5.274043 -0.029653  0.09
C 2.682693 3.291401 -5.094827  -0.27
C 1.685801 -1.955635 -3.999041  -0.30
N 0.892865 0.819081 -1.853770  0.14
H -5.163386 -1.134808 -5.977546  0.11
C 0.876467 -0.323178 -1.457503  -0.21
C 0.605901 -1.863757 -1.153800  -0.33
H 2.370318 4.239492 7.381033  0.12
H -2.522218 -2.130141 1.809479  0.11
H -7.941752 0.093286 -5.512664  0.12
H -2.281505 -4.843482 1.934612  0.14
N -0.069997 3.484210 -7.279797  0.12
H -5.258416 -3.359444 -0.565631  0.07
H -0.488547 -2.182523 -1.387882  0.11
H 0.813848 2.498867 -4.343330  0.10
N 5.041116 3.701462 5.664943  0.17
H 1.640364 1.427113 -5.484006  0.11
C -2.142174 -4.269454 0.946655  -0.30
C 4.526471 0.928204 4.371418  -0.12
C -3.287968 -2.151708 -0.318211  -0.38
C 0.974788 -2.265536 0.372244  -0.48
H -4.289387 1.121051 -5.433600  0.07
H -3.391407 0.017802 -1.085306  0.08
H 3.847940 2.260002 -6.611093  0.08
H 2.597092 -0.923457 5.220434  0.11
H 4.209437 0.538234 6.457861  0.11
H 5.440178 1.498504 4.550900  0.05
H -0.061556 -4.293230 -2.720247  0.04
H -2.610447 -4.733412 -1.275447  0.07
H 5.837393 5.806112 7.853135  0.07
C -5.265446 0.802446 -5.059023  -0.11
O -0.142981 -2.774461 1.125816  -0.13
H 0.496887 -0.568444 1.425436  0.08
N 1.386641 -0.976997 1.056736  0.08
H 1.743112 -2.745964 -4.845161  0.06
H 5.339217 5.320059 9.484766  0.08
H 3.482301 6.469813 7.334084  0.11
H -4.936047 -2.006441 -1.873573  0.04
H -0.316373 -4.335129 -0.416066  0.11
C -2.968415 -2.894621 1.083682  -0.15
C -2.790201 -5.169364 -0.230000  -0.09
H 1.867396 -1.319379 1.918689  0.08
C 3.563157 3.281591 -6.340240  -0.12
H -5.543117 -1.581727 -0.170891  0.09
P 1.708818 -2.892158 -2.341770  0.93
C 5.109188 5.987217 8.648140  -0.11
H 2.429880 4.327688 -4.847647  0.11
H 3.253854 2.890057 -4.252380  0.11
H 3.390181 1.973821 5.857613  0.06
C 3.408612 4.341282 7.708234  -0.18
C 3.641620 0.940032 5.612810  -0.29
C -7.161664 -1.317601 -4.120595  -0.18
H 3.574623 3.641659 8.532442  0.12
C 2.359517 0.121749 5.438506  -0.18
C 0.579166 3.037147 -6.390324  -0.21
H 4.809979 -0.094796 4.103262  0.08
H 5.248020 7.017119 8.986456  0.07
H 2.637503 -1.318917 -4.085295  0.05
H -2.663698 -2.568653 -1.207941  0.11
C 2.289364 -3.227222 0.476877  -0.15
C -0.564424 -4.092324 0.675767  -0.15
H -1.744587 -0.540229 -0.443290  0.05
H 1.767420 0.150007 6.357166  0.11
=====
- When camping and on safari's, don’t' always think it's the people who are the problem! Cheeky little monkeys can come into your camp site and rummage through your items and help themselves! The difference between monkeys and humans is that you probably will never see your items again if a monkey takes it! Tie up your bags and always keep things you don't want to go missing on you at all times.
- If you are travelling in certain areas of the country, stay well clear of prohibited diamond zones. This is particularly the case east of Luderitz, as the guards of these areas can sometimes be quite aggressive, even to foreigners.
- Always follow your guide's instructions when on safari around wild animals. Never stray into areas you aren't permitted to go into and make sure you listen to all of their safety advice.
- Keep you safety belt on at all times, especially when travelling in rural areas. The roads may not be as safe in built up areas and the safety response can also be lax compared to urban areas. Try and check in as best you can and always update people of your whereabouts when travelling for long distances.